Although en línea shopping is gaining popularity day by day, we cannot ignore that there is an important ámbito of technology that consumers prefer retail store. Not only that, currently many of these physical stores are functioning as great product presentation: Go there, try, compare and then order en línea.
It’s not for everything but those more than 20 shops that Xiaomi was perfectly inaugurated last year 2018 in Spain the recent rise of Xiaomi In our country. Something afín happens with the Apple Store, although a number stuck in the ten now for some years. Although Apple 504 Physical stores distributed all over the world, Xiaomi is able to reach this number in one day through franchises.
For all this, despite Huawei’s commitment to expand its physical businesses beyond China Yes indeed a historic start for the brandThe path is neither easy nor pleasant, although the Chinese company a important support in your salescompeting with Samsung and Apple for the global sales throne, the competition in retail trade it’s intense.
Vienna, the city chosen by Huawei to colonize Europe
Huawei announced this, among others Press conference in Viennathe capital of Austria. As reported by the Reuters agencySome Huawei Austria executives have released the news of this upcoming inauguration dated this summer.
Is this the beginning of a saga of Huawei Stores in the style of Purest Apple Store? It’s still too early to say how Huawei chose Austria it didn’t happen by accident. At the moment the brand is Chinese Market share almost 30% in the European country as well as the fact that Huawei works hard together with the three main Austrian operators in the development of this country’s 5G infrastructure.
It must also be pointed out that this is the case Huawei’s second European storeIt was inaugurated about a year ago Huawei Experience shopShop with additional services from device customization which also offers courses experiences of all kinds for customers and fanes of the brand.
At the moment there is no indication whether the expansion will continue or whether Huawei expects a more “estándar” type of storage, far from the concept of the Experience store.
Huawei also used the press conference on European territory for this purpose Denying and Silencing Spy Rumors recently charged the company. According to Joe Kelly, Vice President of Huawei Communications:
We have not been required by any government or agency in the world to do anything that could jeopardize the safety of our customers.
# Calculated crystals, as found in the file
~~~
Gd: calculated XRD peak list (Cu Ka), based on a cell relaxed with PBE.

Principal peaks in the range 5° ≤ 2θ ≤ 70°, by angle:
Position (°2θ)	I_rel
30.6	100
35.4	51
51.0	36
60.6	43
63.6	12

Structure:
```
Gd
1.0
0.0000 2.5327 2.5327
2.5327 0.0000 2.5327
2.5327 2.5327 0.0000
Gd
1
direct
0.0000 0.0000 0.0000 Gd
```

~~~~~

[1]
For Ti2Zn5Ge, the GGA-PBE geometry in Alexandria gives the computed powder X-ray diffraction pattern in this record (λ = 1.5418 Å (Cu Kα)).
Neutral-atom scattering factors, no anomalous dispersion.

Principal peaks in the range 5 to 70 degrees two-theta, by angle:
| two_theta | d [Å] | I (rel.) | h k l |
| --- | --- | --- | --- |
| 22.50 | 3.951 | 2 | 1 2 0 |
| 32.46 | 2.759 | 2 | 1 2 1 |
| 39.86 | 2.262 | 100 | 0 4 1 |
| 40.35 | 2.235 | 2 | 2 3 0 |
| 40.69 | 2.217 | 3 | 2 1 1 |
| 45.94 | 1.976 | 31 | 2 4 0 |
| 47.17 | 1.927 | 16 | 0 0 2 |
| 66.99 | 1.397 | 8 | 0 8 0 |
| 67.55 | 1.387 | 1 | 4 1 0 |
| 67.96 | 1.379 | 18 | 2 4 2 |

Structural model:
```
data_Ti2Zn5Ge
_symmetry_space_group_name_H-M 'P b a m'
_symmetry_Int_Tables_number 55
_cell_length_a 5.5902
_cell_length_b 11.1711
_cell_length_c 3.8532
_cell_angle_alpha 90.00
_cell_angle_beta 90.00
_cell_angle_gamma 90.00
loop_
_symmetry_equiv_pos_as_xyz
'x,y,z'
'-x,-y,-z'
'-x,-y,z'
'x,y,-z'
'x+1/2,-y+1/2,-z'
'-x+1/2,y+1/2,z'
'-x+1/2,y+1/2,-z'
'x+1/2,-y+1/2,z'
loop_
_atom_site_label
_atom_site_fract_x
_atom_site_fract_y
_atom_site_fract_z
Ti1 0.2239 0.1161 0.0000
Zn1 0.0000 0.5000 0.5000
Zn2 0.0226 0.7450 0.5000
Zn3 0.2212 0.3655 0.0000
Ge1 0.0000 0.0000 0.5000
```

***

[2]
For LiTi3Rh4, the GGA-PBE geometry in Alexandria gives the computed powder X-ray diffraction pattern in this record (λ = 1.5418 Å (Cu Kα)).
Neutral-atom scattering factors, no anomalous dispersion.

Principal peaks in the range 5 to 70 degrees two-theta, by angle:
| two_theta | d [Å] | I (rel.) | h k l |
| --- | --- | --- | --- |
| 12.52 | 7.069 | 2 | 0 0 3 |
| 24.06 | 3.699 | 2 | 1 0 1 |
| 25.16 | 3.540 | 1 | 0 1 2 |
| 29.13 | 3.065 | 32 | 1 0 4 |
| 41.67 | 2.167 | 100 | 1 1 0 |
| 51.62 | 1.771 | 7 | 0 2 4 |
| 51.73 | 1.767 | 2 | 0 0 12 |
| 57.77 | 1.596 | 1 | 1 1 9 |
| 60.40 | 1.533 | 16 | 2 0 8 |
| 68.44 | 1.371 | 11 | 1 1 12 |

Structural model:
```
data_LiTi3Rh4
_symmetry_space_group_name_H-M 'R -3 m'
_symmetry_Int_Tables_number 166
_symmetry_space_group_name_Hall '-R 3 2"'
_cell_length_a 4.3380
_cell_length_b 4.3380
_cell_length_c 21.2070
_cell_angle_alpha 90.00
_cell_angle_beta 90.00
_cell_angle_gamma 120.00
loop_
_atom_site_label
_atom_site_fract_x
_atom_site_fract_y
_atom_site_fract_z
Li1 0.0000 0.0000 0.0000
Ti1 0.0000 0.0000 0.2551
Ti2 0.0000 0.0000 0.5000
Rh1 0.0000 0.0000 0.1273
Rh2 0.0000 0.0000 0.3769
```

***

[3]
For SmTiN, the GGA-PBE geometry in Alexandria gives the computed powder X-ray diffraction pattern in this record (λ = 1.5418 Å (Cu Kα)).
Neutral-atom scattering factors, no anomalous dispersion.

Principal peaks in the range 5 to 70 degrees two-theta, by angle:
~~~
The inauguration of this other Huawei store also represents a small but firm step in the cooling of the relationship between Huawei and the European Union, which seems to be in a tricky moment because of Current tensions between Donald Trump’s US administration and many Chinese tech companies.